Companies like Facebook, Microsoft, and Google all are working to combat deepfakes from spreading across the web and social networks. While methods differ, there’s one potential fool-proof method to spot these false videos: blockchains.  “[Blockchains] just give you lots of potential to validate the deepfake in a way that’s the best form of validation that I can see,” Stephen Wolfram, founder & CEO of Wolfram Research and author of A New Kind of Science, told Lifewire over the phone. 

Facebook’s Deepfake-Spotting Tech

Deepfake tech has grown rapidly over the past few years. The misleading videos use machine learning methods to do things like superimpose someone’s face onto another person’s body, alter background conditions, fake lip-sync, and more. They range from harmless parodies to making celebrities or public figures say or do something they didn’t.  Experts say that the technology is advancing quickly, and that deepfakes will only get more convincing (and easier to create) as the technology becomes more widely available and more innovative. Facebook recently gave more insight into its deepfake detecting technology in partnership with Michigan State University. The social network says it relies on reverse engineering from a single artificial intelligence-generated image to the generative model used to produce it.  Research scientists who worked with Facebook said that the method relies on uncovering the unique patterns behind the AI model used to generate a deepfake.  “By generalizing image attribution to open-set recognition, we can infer more information about the generative model used to create a deepfake that goes beyond recognizing that it has not been seen before. And by tracing similarities among patterns of a collection of deepfakes, we could also tell whether a series of images originated from a single source,” wrote research scientists Xi Yin and Tan Hassner in Facebook’s blog post about its deepfake-spotting method. Wolfram says it makes sense that you would use machine learning to spot an advanced AI model (a deepfake). However, there’s always room to fool the technology.  “I’m not at all surprised that there’s a decent machine learning way of [detecting deepfakes],” Wolfram said. “The only question is if you put in enough effort, can you fool it? I’m sure that you can.”

-- Misplaced calculated crystals --
[1]
This entry pairs a crystal structure of Ce5Co2Au4 with its calculated XRD peak list. Radiation: Cu Ka. Structure: the PBE geometry in Alexandria.

Peak list (6 most intense, 15 to 90 degrees two-theta, in order of rising 2θ)
2θ/deg	I/Imax
34.5	100
36.1	63
37.1	36
37.5	32
37.9	35
38.7	34

Unit cell a=7.564 b=17.697 c=3.558 alpha=90.00 beta=90.00 gamma=90.00
Positions (direct):
1 Ce 0.000 0.000 0.000
2 Ce 0.137 0.417 0.000
3 Ce 0.244 0.717 0.000
4 Ce 0.256 0.217 0.000
5 Ce 0.363 0.917 0.000
6 Ce 0.500 0.500 0.000
7 Ce 0.637 0.083 0.000
8 Ce 0.744 0.783 0.000
9 Ce 0.756 0.283 0.000
10 Ce 0.863 0.583 0.000
11 Co 0.045 0.308 0.500
12 Co 0.455 0.808 0.500
13 Co 0.545 0.192 0.500
14 Co 0.955 0.692 0.500
15 Au 0.065 0.845 0.500
16 Au 0.202 0.570 0.500
17 Au 0.298 0.070 0.500
18 Au 0.435 0.345 0.500
19 Au 0.565 0.655 0.500
20 Au 0.702 0.930 0.500
21 Au 0.798 0.430 0.500
22 Au 0.935 0.155 0.500

[2]
This entry pairs a crystal structure of La9CeNd4 with its calculated XRD peak list. Radiation: Cu Ka. Structure: the PBE geometry in Alexandria.

Peak list (6 most intense, 15 to 90 degrees two-theta, in order of rising 2θ)
2θ/deg	I/Imax
25.6	16
31.2	100
31.3	18
31.6	34
50.7	22
54.7	15

Unit cell a=10.128 b=10.128 c=11.414 alpha=90.00 beta=90.00 gamma=120.00
Positions (direct):
1 La 0.073 0.537 0.250
2 La 0.209 0.419 0.543
3 La 0.209 0.419 0.957
4 La 0.209 0.791 0.543
5 La 0.209 0.791 0.957
6 La 0.419 0.209 0.043
7 La 0.419 0.209 0.457
8 La 0.463 0.537 0.250
9 La 0.463 0.927 0.250
10 La 0.537 0.073 0.750
11 La 0.537 0.463 0.750
12 La 0.581 0.791 0.543
13 La 0.581 0.791 0.957
14 La 0.791 0.209 0.043
15 La 0.791 0.209 0.457
16 La 0.791 0.581 0.043
17 La 0.791 0.581 0.457
18 La 0.927 0.463 0.750
19 Ce 0.333 0.667 0.750
20 Ce 0.667 0.333 0.250
21 Nd 0.000 0.000 0.000
22 Nd 0.000 0.000 0.500
23 Nd 0.114 0.228 0.250
24 Nd 0.114 0.886 0.250
25 Nd 0.228 0.114 0.750
26 Nd 0.772 0.886 0.250
27 Nd 0.886 0.114 0.750
28 Nd 0.886 0.772 0.750

[3]
This entry pairs a crystal structure of LiTh2Zn3 with its calculated XRD peak list. Radiation: Cu Ka. Structure: the PBE geometry in Alexandria.

Peak list (6 most intense, 15 to 90 degrees two-theta, in order of rising 2θ)
2θ/deg	I/Imax
21.9	55
34.4	100
38.4	53
52.5	31
66.9	30
68.1	20

Unit cell a=9.374 b=8.803 c=5.792 alpha=76.87 beta=66.14 gamma=36.99
Positions (direct):
1 Li 0.168 0.168 0.832
2 Li 0.832 0.832 0.168
3 Th 0.248 0.752 0.752
4 Th 0.250 0.250 0.250
5 Th 0.750 0.750 0.750
6 Th 0.752 0.248 0.248
7 Zn 0.167 0.666 0.334
8 Zn 0.334 0.334 0.666
9 Zn 0.334 0.833 0.167
10 Zn 0.666 0.167 0.833
11 Zn 0.666 0.666 0.334
12 Zn 0.833 0.334 0.666

[4]
This entry pairs a crystal structure of PrNd7Er4 with its calculated XRD peak list. Radiation: Cu Ka. Structure: the PBE geometry in Alexandria.

Peak list (6 most intense, 15 to 90 degrees two-theta, in order of rising 2θ)
2θ/deg	I/Imax
28.4	36
30.6	51
31.3	100
33.0	91
49.9	40
59.7	46

Unit cell a=6.340 b=7.313 c=9.008 alpha=90.00 beta=76.43 gamma=89.97
Positions (direct):

Combatting Deepfakes A Different Way

What comes next are records of crystals, not part of the text
<<<
For NdIn2Rh, a structure optimized by DFT (PBE) gives the calculated XRD peak list in this record (Cu Kα (weighted mean of Kα1 and Kα2)).
Lines closer than 0.1° are merged.

Top 10 peaks for 2θ from 10° to 90°, low angle first:
two_theta	I/Imax	h k l
31.19	100.0	1 1 2
32.88	23.3	1 3 0
34.77	74.5	1 3 1
36.53	30.0	0 4 1
37.79	27.2	0 2 3
39.97	26.0	1 3 2
40.21	27.0	1 1 3
40.55	40.1	2 0 0
55.71	17.5	2 4 1
66.76	17.5	1 7 0

Atomic structure:
Lattice parameters (Å, degrees): 4.4495 10.3336 8.0481 90.00 90.00 90.00
Space group Cmcm (No. 63)
>>>

Instead, Wolfram said that he believes using blockchain would be the best option to accurately spot for certain types of deepfakes. His opinion of using blockchain over machine learning goes back to 2019, and he said that, ultimately, the blockchain approach can provide a more accurate solution to our deepfake problem.  “I’d expect image and video viewers could routinely check against blockchains (and ‘data triangulation computations’) a bit like how web browsers now check security certificates,” Wolfram wrote in an article published in Scientific American.  Since blockchains store data in blocks that are then chained together in chronological order, and since decentralized blockchains are immutable, the data entered is irreversible. Wolfram explained that by putting a video into a blockchain, you’d be able to see the time it was taken, the location, and other contextual information that would allow you to tell if it’s been altered in any way.  “In general, having the more metadata that there is that contextualizes the picture or video, the more likely you are to be able to tell,” he said. “You can’t fake time on a blockchain.” However, Wolfram said the method used—whether it’s machine learning or using blockchain—depends on the type of deepfake you’re trying to protect against (i.e., a video of Kim Kardashian saying something silly or a video of a politician making a statement or suggestion).  “The blockchain approach protects against certain kinds of deep fakes, just as the machine learning image processing protects against certain kinds of deep fakes,” he said.  The bottom line, it seems, is vigilance for all of us when it comes to combating the coming deepfake deluge.